
1 Introduction

Nuclei morphology plays an import role in identifying aberrant phenotypes, which needs to detect and segment all the nuclear in hematoxylin and eosin (H&E) stained histology images. The features and distribution of nucleus can provide direct and reliable information for the diagnosis of cancer. The main challenges of nuclei segmentation are: (i) wide variation of cell appearance, such as color, shape, and texture; (ii) weak/missing cell boundaries; (iii) crowding and overlapping cells. With the development of deep learning technique, it is worthwhile to design and implement more accurate and efficient algorithms for nuclei segmentation. In [1], Bengtsson et al. proposed a seeded watershed transform to incorporate intensity, gradient, connectivity, and shape information for nucleus segmentation. Classical techniques are most procedural and require a large number of free parameters, Ronneberger et al. pretented the U-net, a novel FCN based network architecture, for biomedical image segmentation [2] and won the Grand Challenge for Computer-Automated Detection of Caries in Bitewing Radiography at ISBI 2015. In [3], Cui et al. designed a deep learning algorithm for one-step contour aware nuclei segmentation. They introduced a nucleus-boundary model to predict nuclei and boundaries simultaneously. Khoshdeli et al. [4] integrated boundary- and region-based information to distinguish touching or overlapping nuclei. They labeled foreground (nuclei), background and boundary pixels, to train region- and boundary-based models, respectively. Then they trained another convolutional neural network to fuse the information from the two models to get the final result.

In this work, we propose a deep learning based framework for nuclei segmentation of Glioma whole slide tissue images. The main contributions of this work are listed in the following:

  1. (1)

    We adopt structure-pre-serving color normalization (SPCN) [5] for sparse stain separation and color normalization, which can significantly boost the performance of deep learning framwork.

  2. (2)

    We develop an effective framework based on Mask R-CNN to address the problem of overlapping nuclus segmentating, which achieves competitive results on MICCAI 2018 competition: Segmentation of Nuclei in Images.

2 Method

2.1 Dataset

The Digital Pathology dataset in [6] is adopted in this study. The dataset contains 15 pieces of about 668 × 583 annotated H&E stain images extracted from a set of Glioblastoma and Lower Grade Glioma whole slide tissue images. We separate the dataset to training and validation sets according to the ratio of 80:20. As the dataset is too small to train a deep learning network directly, two extra datasets, i.e. MICCAI 2017 segmentation challenge (MSC) [7] and 2018 Data Science Bowl (DSB) [8], are used for data augmentation. The MSC dataset includes 32 annotated H&E stain images from four categories, i.e. hnsc, lung, lgg and gbm. Each category has 8 images. The DSB dataset contains 664 fluorescent stain and H&E stain images. To alleviate color variation, we remove the fluorescent stain images in DSB dataset, which results in a dataset with 108 images.

2.2 Pre-processing

To overcome the color variation, structure-pre-serving color normalization (SPCN) [5] is adopted in our framework. For a source image \( {\text{S}} \) and a target image \( {\text{T}} \), their color appearances and stain density maps is first estimated by factorizing \( {\text{V}}_{s} \) into \( {\text{W}}_{s} H_{s} \), and \( {\text{V}}_{t} \) into \( {\text{W}}_{t} H_{t} \) using sparse non-negative matrix factorization. Then, combined with color appearance of the target \( {\text{W}}_{t } \), a scaled version of the density map of source \( {\text{H}}_{s} \) is calculated to generate the normalized source image, which can be described as follows:

$$ H_{s}^{norm} \left( {j,:} \right) = \frac{{H_{s} \left( {j,:} \right)}}{{H_{s}^{RM} \left( {j,:} \right)}}H_{t}^{RM} \left( {j,:} \right),\,j = 1, \ldots ,r. $$

where \( {\text{V}}_{s} , {\text{W}}_{s} , {\text{H}}_{s} \) repensent the observation matrix, stain color appearance matrix and stain density map matrix of source image \( {\text{s}} \), respectively. \( H_{i}^{RM} = {\text{RM}}\left( {H_{i} } \right) \in R^{r \times 1} ,i = (s,t) \) and \( {\text{RM}}( \cdot ) \) compute robust pseudo maximum of each row vector at 99%.

In our experiment, we noticed that the E stain image contains tissue information, while the cell nucleus information is mainly contained in the H stain images. Therefore, we use the H stain images for network training. Some separated H&E stain images are presented in Fig. 1.

Fig. 1.
figure 1

Some examples of sparse stain separation for histological images. The first column is the original histological images, the second and third column are the E stain, H stain generated by SNMF, respectively. The last column is the H stain image after color normalization.

2.3 The Proposed Segmentation Framework

The flowchat of our segmentation framework is shown in Fig. 2. The Mask R-CNN [9] is employed as the backbone of our model. First, SPCN [5] is adopted to process original images. Each nuclei is separated from ground truth for RoI extraction. We slide a \( 512 \times 512 \) window to crop patches from the whole slices and train the Mask R-CNN. We employ resnet101 as the feature extraction network. The watershed algorithm is employed as the post-processing to separate the joint cells. ImageNet [10] and COCO [11] datasets are adopted for network pre-training.

Fig. 2.
figure 2

The framework of our segmentation model.

Mask R-CNN.

Figure 3 shows the Mask R-CNN [9] framework for nuclei segmentation, which has multiple architectures, i.e. (i) the convolutional backbone architecture for feature extraction, (ii) the network head for bounding-box recognition and mask prediction. The RoIAlign layer is developed to address misalignments between the RoI and the extracted features caused by RoIPool [12], which is simple but useful to predict pixel-level masks.

Fig. 3.
figure 3

The Mask R-CNN framework for nuclei segmentation.

2.4 Post-processing

Combining the information of detection, classification and bounding-box regression, MaskR-CNN [9] can efficiently segment each nuclei in images. However, not all of the overlapping nuclei are accurately separated. An example is shown in Fig. 4. Therefore, to address the problem, the Marker-based watershed [13] is involved in our framework. Given two nuclei \( {\text{S and G}} \), their overlapping ratio \( {\text{P}}_{s} = \frac{O}{S} \) and \( {\text{P}}_{g} = \frac{O}{G} \), where \( {\text{O}} \) represents the overlapping area of \( {\text{S and G}} \), are calculated to decide the overlapping area of each nuclei. The watershed post-processing result is shown in Fig. 5 (Better seen in color).

Fig. 4.
figure 4

An example of overlapping nuclei segmentation.

Fig. 5.
figure 5

Marker-based watershed post-processing. (a) is the original input mask; (b) is the marker from the minima computed from the distance transform of the binarized mask; (c) is the marker after binary_openning; (d) is the final output.

2.5 Implementation

The proposed framework is implemented using Keras toolbox, and trained with a mini-batch size of 64 on four GPUs (GeForce GTX TITAN X, 12 GB RAM). The initial learning rate is set to 0.0001. ‘Adam’ [14] is used to iteratively update neural network weights based on training data.

3 Experimental Results

3.1 Evaluation Criterion

### Materials data that have nothing to do with the piece
Material: HI
Method: DFT, PBE
State: optimized geometry

- space group = C2/c, No. 15
- crystal system = monoclinic

a = 8.3409 Å, b = 8.3409 Å, c = 9.3107 Å
α = 116.76°, β = 116.76°, γ = 89.69°
Last column: nearest neighbours and their distance in Å.
Fractional positions:
H  0.0500  0.7552  0.5019  1 I 1.67
H  0.2448  0.9500  0.9981  1 I 1.67
H  0.2540  0.4497  0.4994  1 I 1.67
H  0.4497  0.2540  0.9994  1 I 1.67
H  0.5503  0.7460  0.0006  1 I 1.67
H  0.7460  0.5503  0.5006  1 I 1.67
H  0.7552  0.0500  0.0019  1 I 1.67
H  0.9500  0.2448  0.4981  1 I 1.67
I  0.2412  0.7500  0.9976  1 H 1.67
I  0.2494  0.2579  0.9984  1 H 1.67
I  0.2500  0.7588  0.5024  1 H 1.67
I  0.2579  0.2494  0.4984  1 H 1.67
I  0.7421  0.7506  0.5016  1 H 1.67
I  0.7500  0.2412  0.4976  1 H 1.67
I  0.7506  0.7421  0.0016  1 H 1.67
I  0.7588  0.2500  0.0024  1 H 1.67

---

Material: Be2Zn2Ga
Method: DFT, PBE
State: optimized geometry

- offset from the most stable computed form (meV per atom) = 86
- space group = I4/mmm, No. 139
- crystal system = tetragonal

a = 6.3413 Å, b = 6.3413 Å, c = 6.3413 Å
α = 148.70°, β = 148.70°, γ = 44.85°
Last column: nearest neighbours and their distance in Å.
Fractional positions:
Be  0.2500  0.7500  0.5000  4 Zn 2.37, 4 Be 2.42
Be  0.7500  0.2500  0.5000  4 Zn 2.37, 4 Be 2.42
Zn  0.1095  0.1095  0.0000  4 Be 2.37, 1 Zn 2.57
Zn  0.8905  0.8905  0.0000  4 Be 2.37, 1 Zn 2.57
Ga  0.5000  0.5000  0.0000  8 Zn 2.74

---

Material: Na2TeIr
Method: DFT, PBE
State: optimized geometry

- space group = I4_1/amd, No. 141
- crystal system = tetragonal

a = 8.3761 Å, b = 8.3761 Å, c = 8.3761 Å
α = 94.92°, β = 94.92°, γ = 145.95°
Last column: nearest neighbours and their distance in Å.
Fractional positions:
Na  0.0000  0.0000  0.0000  2 Ir 2.90
Na  0.0000  0.0000  0.5000  2 Ir 2.90
Na  0.0000  0.5000  0.0000  2 Ir 2.90
Na  0.5000  0.0000  0.5000  2 Ir 2.90
Te  0.3750  0.6250  0.7500  2 Ir 2.45
Te  0.6250  0.3750  0.2500  2 Ir 2.45
Ir  0.1250  0.8750  0.2500  2 Te 2.45
Ir  0.8750  0.1250  0.7500  2 Te 2.45

---

Values for E, eV per atom, ordered as above
-2.44 -2.30 -3.66
Values for Fermi-level density of states, states/eV/cell, ordered as above
0.00 1.54 3.43

~~~~~
### Back to the piece

The Dice score, a measure for comparison of binary segmentations S and G, is introduced to evaluate the performances on the validation set. It can be expressed in terms of statistical measures as:

$$ {\text{D}} = \frac{{2\left| {S\mathop \cap \nolimits G} \right|}}{\left| S \right| + \left| G \right|} = \frac{{2\theta_{TP} }}{{2\theta_{TP} + \theta_{FP} + \theta_{FN} }} $$

where \( \theta_{TP} \) is the number of true positives, \( \theta_{FP} \)/\( \theta_{FN} \) are the numbers of false positives/false negatives.

3.2 Results

We first test the performance of our network trained using different training data. The dice scores on validation set trained with different datasets are summarized in Table 1. MSC and DSB represent the dataset from the MICCAI 2017 segmentation challenge [7] and the 2018 Data Science Bowl [8], respectively. Fixed DSB is the refined data after deleting fluorescent stain images from DSB. Compared with the network trained using the original Digital Pathology dataset [6], the network trained with MSC improves the dice score from 79.65% to 81.32%. While similar improvement was achieved for fixed DSB, the DSB actually decrease the dice score, which proves the necessarity to clean fluorescent stain images in DSB. Trained with the combination of original dataset, MSC and fixed DSB, the Mask R-CNN achieves the highest dice score, i.e. 85.01%.

Table 1. Dice score for different training data (%).

Once the training dataset is fixed, we now test the performance of the Mask R-CNN, pretrained with different dataset and the effect of preprocessing and postprocessing. As listed in Table 2, the model pre-trained on COCO dataset performances better than that pre-trained on ImageNet dataset, i.e. a 1.44% dice score improvement was recorded. Furthermore, SPCN [5] and Watershed [13] improve the Dice score on validation set by 1.04% and 0.62%, respectively. Combined with SPCN [5] and Watershed [13], Mask R-CNN achieves the highest dice score with 90.46%.

Table 2. Dice score for different processing (%).

To visually assess our segmentation results, we overlapped the segmentation results and ground truths back to original images, as shown in Fig. 6.

Fig. 6.
figure 6

Qualitative segmentation result on the data set. (a) The original input image (b) Visualizations of the ground truth (c) Visualizations of our model.

CPM Competition Result.

We achieved a competitive dice score of 86.10% on the MICCAI 2018 CPM competition testing set, while the highest score is 87.00%. Table 3 listed the Top-5 results on the leader-board.

Table 3. Dice scores for Top 5 (%).

4 Conclusions

Diversity of phenotypes and overlapping nuclei are the two intrinsic challenges for nuclear segmentation in H&E stained images. In this paper, we proposed a Mask R-CNN based deep learning framework for nuclei segmentation. The overall framework consists of color normalization using SPCN [5], features extraction, and Watershed [13] postprocessing. The experimental results show that SPCN [5] and Watershed [13] can significantly improve segmentation performance, and our framework has strong strength in nuclei segmentation.